
"Guys! Guys, look at the sunrise!" Simon slumped around Kim and Robin's shoulders, almost dragging them to the ground as they slouched their way back to the station.

"Yes, Simon, it's beautiful," Robin grunted through gritted teeth as he struggled to stay upright, "how many of those free drinks did you have?"

"I may have indulged in one too many," Simon hiccupped.

"One too many?" Kim finally untangled Simon's arm from around her shoulders, "Come on, let's get inside before you create a rainbow yawn all over the side of the tardis."

"Speaking of which," Robin froze in his tracks, "where is the pee-riddled box?"

"Oh shit," Kim covered her mouth with her hands, "it's gone, it's bloody vanished!"

"It can't have gone far," Robin began while Simon cackled with laughter.

"It serves him right, the cocky chin-riddled idiot," he said.

"Yeah, you say that now, you won't say that if the Doctor's stuck here for eternity, helping you file all your documents under 'P' for 'Police work'."

'''
No. 1
Diffraction record for LiBS2. The PXRD pattern is simulated, not measured: it uses a crystal structure in Alexandria, relaxed with GGA-PBE and λ = 1.5418 Å (Cu Kα).
Peak positions follow from Bragg's law for the DFT cell and can differ from measured ones.

Most intense lines, 5° ≤ 2θ ≤ 70°, sorted by position:
d = 8.303 Å, 10.66 deg, I = 28
d = 4.151 Å, 21.40 deg, I = 22
d = 3.709 Å, 24.00 deg, I = 28
d = 3.647 Å, 24.41 deg, I = 83
d = 3.604 Å, 24.70 deg, I = 100
d = 3.392 Å, 26.27 deg, I = 27
d = 3.190 Å, 27.97 deg, I = 29
d = 2.951 Å, 30.29 deg, I = 35
d = 2.933 Å, 30.48 deg, I = 19
d = 1.884 Å, 48.31 deg, I = 18

Structural model:
```
data_LiBS2
_chemical_formula_sum 'Li4 B4 S8'
_cell_length_a 8.3868
_cell_length_b 4.1451
_cell_length_c 11.9241
_cell_angle_alpha 90.00
_cell_angle_beta 98.13
_cell_angle_gamma 90.00
_symmetry_space_group_name_H-M 'P 1 21/c 1'
_symmetry_Int_Tables_number 14
loop_
_symmetry_equiv_pos_as_xyz
'x,y,z'
'-x,-y,-z'
'-x,y+1/2,-z+1/2'
'x,-y+1/2,z+1/2'
loop_
_atom_site_label
_atom_site_fract_x
_atom_site_fract_y
_atom_site_fract_z
_atom_site_occupancy
Li1 0.1784 0.0130 0.4200 1
B1 0.2207 0.5804 0.2371 1
S1 0.1171 0.6898 0.1123 1
S2 0.3243 0.5095 0.3659 1
```

=====

No. 2
Diffraction record for Ba6PtPb2O. The PXRD pattern is simulated, not measured: it uses a crystal structure in Alexandria, relaxed with GGA-PBE and λ = 1.5418 Å (Cu Kα).
Peak positions follow from Bragg's law for the DFT cell and can differ from measured ones.

Most intense lines, 5° ≤ 2θ ≤ 70°, sorted by position:
d = 4.116 Å, 21.59 deg, I = 31
d = 3.511 Å, 25.37 deg, I = 12
d = 3.361 Å, 26.52 deg, I = 96
d = 2.911 Å, 30.72 deg, I = 100
d = 2.671 Å, 33.55 deg, I = 12
d = 2.377 Å, 37.86 deg, I = 14
d = 2.058 Å, 43.99 deg, I = 73
d = 1.755 Å, 52.11 deg, I = 43
d = 1.681 Å, 54.61 deg, I = 25
d = 1.455 Å, 63.97 deg, I = 12

Structural model:
```
data_Ba6PtPb2O
_chemical_formula_sum 'Ba12 Pt2 Pb4 O2'
_cell_length_a 8.2342
_cell_length_b 11.6413
_cell_length_c 8.2328
_cell_angle_alpha 90.00
_cell_angle_beta 90.00
_cell_angle_gamma 90.00
_symmetry_space_group_name_H-M 'P m m n'
_symmetry_Int_Tables_number 59
loop_
_symmetry_equiv_pos_as_xyz
'x,y,z'
'-x,-y,-z'
'-x+1/2,-y+1/2,z'
'x+1/2,y+1/2,-z'
'x+1/2,-y,-z'
'-x+1/2,y,z'
'-x,y+1/2,-z'
'x,-y+1/2,z'
loop_
_atom_site_label
_atom_site_fract_x
_atom_site_fract_y
_atom_site_fract_z
_atom_site_occupancy
Ba1 0.0121 0.2500 0.0138 1
Ba2 0.0131 0.2500 0.4889 1
Ba3 0.2500 0.0126 0.2504 1
Pt1 0.2500 0.7500 0.2492 1
Pb1 0.2500 0.0003 0.7498 1
O1 0.2500 0.2500 0.2507 1
```

=====

No. 3
Diffraction record for Ac3Sm2Cd2. The PXRD pattern is simulated, not measured: it uses a crystal structure in Alexandria, relaxed with GGA-PBE and λ = 1.5418 Å (Cu Kα).
Peak positions follow from Bragg's law for the DFT cell and can differ from measured ones.

Most intense lines, 5° ≤ 2θ ≤ 70°, sorted by position:
d = 3.040 Å, 29.38 deg, I = 90
d = 2.939 Å, 30.42 deg, I = 100
d = 2.776 Å, 32.25 deg, I = 41
d = 2.648 Å, 33.85 deg, I = 38
'''

Simon froze.

"Bugger," he cursed.

Just as the three of them began to get increasingly concerned about the disappearance of the large blue box, a sound that subtitles could only have described as metallic thrumming began and to their immense surprise the Tardis materialised right where they'd left it the day before. Two very angry, exhausted and frustrated figured stumbled out.

"That is the last time I have sex in a spaceship."

That wasn't a sentence any of them expected to hear. Simon covered his ears and started humming loudly while Kim and Robin clung to each other in fear of what they were going to hear next.

"You got a free trip to the Tower of London, didn't you, Bols?" Gene accused.

"Yes, on the inside!" Alex cried.

"You were the one with sticky fingers."

"I was not trying to steal the crown jewels!"

"You have yer hands on mine enough…"

"Ahem?" Kim folded her arms and stared at them both, tapping her foot as Alex and Gene stopped arguing and turned to find themselves being observed. Gene swallowed, attempting to cover the ruff and period costume he pretended he wasn't wearing before wagging his finger threateningly in their direction.

"You saw nothing," he told them.

"I wish I'd seen nothing, I'll need therapy for years," Simon wept, covering his eyes.

"Let's just get changed before the Doctor comes back and discovers our unexpected joyride," Alex said crossly, smoothing out the skirt with seventeen layers of petticoats beneath it, "and before he discovers the stains."

"What stains?" Simon asked before the truth dawned on him and he clapped his hands over his ears again. "Forget it! I don't want to know

Gene stared at Kim who had a piece of fried dalek stuck in her hair.

"Where have you rainbow-minded minions been?" he demanded, "down the scrapheap?"

"No, Guv," Kim said quietly, "we visited your local, actually." She gave a distant smile. "Long story."

"Nelson into robotics now is he?" Gene scowled.

"Like I said, long story."

"Come on, let's get inside before we get slung in the cells for being drunk and disorderly," Robin sighed.


Gene, Alex, Simon, Robin and Kim sat in silence in the office as they watched the clock and waited for the doctor to return. No one was really sure what to say to n another and Simon had been sneaking disgusted looks at Gene for the last half an hour after discovering that he and Alex had been up to things they had no right to do in another man's Tardis, despite the fact that he hated the doctor with a passion.

"Don't you say a word, Shoebury," Gene warned, pointing a stapler threateningly in his direction.

"Couldn't if I wanted to," Simon folded his arms, "my modesty prevents me from describing the act."

"You're not so innocent," Gene narrowed his eyes and Simon gulped.

"At least I've never bonked in another man's Tardis," he said.

"Not a word about the Dalek either," Kim warned, "one word and he'll have that bloody screwdriver shoved up my nostril, checking for immunity again."

"Excuse me?" Alex frowned, "what dalek is this? The one in your office?"

"It… migrated," Robin said awkwardly.

"And not a word about the pub either," Kim warned.

Gene scowled.

"What's this about me pub?" he demanded and Kim bit her lip.

"Erm," she cleared her throat, not sure how pleased that Gene would be about a mechanical menace taking over his local temporarily, "nothing, Guv."

"Took the dalek for a pint," Robin lied.

"Bloody thing was already legless," Gene mumbled, folding his arms.

"At least now I know the way to deal with a dalek is by offering soufflé tips," Robin commented, despite Kim's frantic shushing.

"That's right is it, batman?" Gene turned a sarcastic glance to Kim. "Now I know what to do when Metal Mickey's giving me lip."

"What's that, guv?" Kim began crossly, "you want me to tell the Doctor your crown jewels have been all over his control panel?"

"Can we please stop mentioning crown jewels?" Alex groaned, her head in her hands.

They all heard the Doctor approaching long before he arrived. His unexpected nap had left him revitalised and full of beans and unfortunately Gene was about to catch the brunt of them. He steeled himself, leaned back and fixed a glare on the doorway to wait for his arrival but the Doctor was dipping into every doorway along the route and by the time he got to the office Gene had been waiting in that stance for around two minutes.

"What a fine morning, ladies and gentlemen," he beamed as he finally swept into the doorway like some sort of cruise liner entertainment official.

"So you off then?" were the first words out of Gene's mouth.

"Almost," the Doctor seemed oblivious to Gene's bad will, "I just need to see if the old thing is back in full functioning order."

"It is," Gene huffed, "Believe me."

"She's a she," the doctor told him, receiving a mocking laugh from Gene.

"Can't get a real bird so you have to make yer cardboard box into one?" he challenged.

"You call your car a 'she'," Simon blurted without thinking ad found Gene's angry stare on him.

"So you don't value your limbs any more, Shoebury?" he barked.

Simon gulped.

"So about that tardis…" he began, scrambling quickly to his feet.

"Just need to get a few checks out of the way and we will leave you in peace," the doctor told them, "thank you for your hospitality and also the free colander from the canteen."

"It wasn't a gift, she just threw that at you for using your sonic screwdriver to affect the size of her arse," Kim explained.

The doctor pulled a slight face as he thought about it.

"Still free," he said diplomatically and spun on his heels.


"All in good, fine working order," the Doctor confirmed, peering out of the Tardis at the gathered crowd.

Gene leaned against the side of the box, arms folded, refusing to look at him.

"Could have told you that, bowtie boy," he mumbled.

"Something sticky on some of the controls though," the doctor frowned, rubbing his hands against his trousers as Alex spluttered and turned a vibrant shade of red.

"Well, don't you have a Wimbledon final to get to?" she asked, trying desperately to compose herself.

"Yes, yes, we do," the doctor agreed as he held out a hand toward Clara. "Clara!"

Clara smiled warmly at the group of friends she'd made, a little reluctant to say goodbye. That was the difficulty with always moving on, she realised. You had to say goodbye to all the people who made you smile. It was something Gene and the others saw from the other side with those who dropped in and out of their lives.

"Clara," Marci caught her arm as she stepped toward the Tardis. She seemed a little nervous as she gave her a quick smile. "If things don't work out between you and the Doctor," she began, clearing her throat, "there's, erm," she tried not to smirk as she looked Clara in the eye, "you're always welcome in nineteen ninety eight."

Clara's smile put Marci at ease.

"Well, thank you," she said, "I'll remember that –"


Clara pulled a face and laughed.

"Duty calls."

She nipped inside the Tardis as the Doctor leaned out of the door.

"And what about you?" he looked at Jake who seemed hesitant and anxious,

"What about me?" he asked quietly.

"Are you ready to join us?" the Doctor asked, "see the stars? Travel through time? Introduce sprout sorbet to the far reaches of the galaxy?"

Jake swallowed, glancing at Marci and Robin, both of whom looked sad and resigned to a goodbye. He looked back at the Doctor who was beckoning him encouragingly. He took a deep breath and knew what he had to do.

"Nah," he said quietly. He was aware of Marci's head snapping up in shock. "I think I'll give it a miss." He paused, "this time."

"Are you certain?" the Doctor couldn't quite believe Rory Two was turning him down, "this is a once in a lifetime opportunity!"

"It is, it is," Jake hesitated, "but," he looked at the crowd around him, "But my life is here." He could see a look of genuine surprise on Marci's face and a happy smile spreading across Robin's. "But thank you," he said was a happy nod, "because these last twenty four hours are something I won't forget."

"Well, if you're sure I can't change your mind," the Doctor sighed and smiled, "enjoy your life, Jake."

Jake felt himself tearing up as the Doctor finally used his name.

"You too," he whispered, "Doctor."

The doctor gave a wave to the coppers around him.

"Goodbye and thank you," he said, before glancing at Kim, "try not to turn into a machine."

The doctor seemed oblivious to the murderous look Kim threw his way as Robin boasted,

"It's alright, I know how to deal with that."

"You are not overpowering me with a bloody soufflé," Kim threatened.

"Soufflés?" Clara peered out if the door and looked at them curiously.

"Long story," Robin muttered as Kim added, "Don't ask."

"Alright, we won't" the Doctor clapped his hands, "we must go. Pete Sampras is waiting!"

"Goodbye, farewell, don't accidentally burn yer arse on a passing sun or anything, will you?" Gene grumbled as he kicked the Tardis and began to march back towards the station.

The doctor gave a final wave and closed the door as the others waved back. There were a few moments of intense metallic thrumming and the Tardis faded in and out of view until it disappeared completely, leaving nothing but a little scorched square on the ground. For a few moments no one could quite believe the strange times were over. They stared at the empty space. The only word uttered was from Jake.

"Wow," he whispered. Before he could say another word a flying Marci launched herself in his direction and hugged him frantically.

"You stayed," she whispered.

"Won't be worth my while if you strangle me," Jake choked as Marci hugged him a little too tightly. He found Robin joining the hug and himself even less able to breathe. "Oh come on, guys, you didn't think I was really going to leave you, did you?"

"You were dead set on it yesterday," Robin reminded him as they finally stopped half-strangling Jake with their hug and he caught his breath.

"Yeah, well," he took a deep breath, "I suppose sometimes you don't know when you're onto a good thing," he smiled at the people he couldn't quite bear to leave behind. "At least I know now." He thought Marci looked strangely awkward and a little coy but didn't know why and didn't have a lot of time to wonder as Alex began to walk back towards the station.

"Well," she said, "the fun is over, ladies and gentlemen. It's time to start clearing the scum from the street instead of clearing the dog wee from the tardis,"

One by one they turned and began to follow Alex. They knew that she was right, The strangest 24 hours in the history of Fenchurch East had passed by – and that was truly saying something.

Yet bizarrely things felt a little unfinished. They couldn't put their finger on what it was but none could shake the feeling that they'd be seeing the Doctor and his companion again one day.

"Until the next time," Jake whispered under his breath.

As they walked into the station and left their adventure behind Marci turned to him, chewed on her lip and creased her brow with confusion as she said quietly,



Marci hesitated.

"This… this is nineteen ninety eight," she whispered, "isn't it?"

Jake frowned.

"Anyone would think you were the one heading on adventures through time," he joked but she looked so stressed that he knew this wasn't a joke, "yeah, 'course it is."

Marci swallowed.

"Doctor Who," she began, "when was it last on?"


"Answer me, Jake!"

Jake took a step back.

"Well the TV movie was on two years ago," he said.

"The TV movie?"


"Doctor number Eight."

"What's his name McGann, yeah." He paused as the thought Marci had yet to speak finally occurred to him and they stopped walking to look at one another, "The eighth doctor," he whispered, "was the last Doctor."

"If this is nineteen ninety eight," Marci whispered, "then why do we remember another three doctors that don't exist?"

Jake froze. He stopped moving, stopped talking, almost damn well stopped breathing. He had been so excited that he hadn't even thoughtneither of them had. They hadn't questioned it. But it was true.

"Doctor Who was cancelled," he whispered, "there was no such… no new… then how…?"

Both stared at one another, neither knowing what to say. There was nothing to say. Their minds were in possession of impossible memories of days as yet unlived. They reached for one another's hand and held on for dear life, a touch of safety in a world of confusion and didn't dare speak another word.

But as the starlight glistened overhead momentarily their realisation wasn't one that could be ignored forever.

The End


A/N: This really is one of the most fun things I've done since I started writing again and I enjoyed every minute of it! I wasn't sure about going for it but I'm so glad I did! There were so many other things I wanted to put in that I didn't have time to explore so there may well be another crossover at some point in the future.

Thank you so much for following this oddity, with massive thanks to Jess and Charlotte for all your support and encouragement, especially to jess for hyping me up about the idea until I absolutely had to write it!

Maybe now I can stop crying about Oswin's fate!